Trusts have many benefits for you, your family, and future generations. We have listed some of the most common questions or topics that we have received with our current thoughts and recommendations. The answers are solely for your informational purposes and are not guaranteed to be accurate, complete, or timely for your individual circumstances. If you have further questions, please reach out to us at info@trustonst.com or 336-646-6678.

Simply stated, it is a legally enforceable contractual arrangement that transfers property from one person (the Grantor) to another person or corporate body (the Trustee) to be held by the trust and managed by the trustee for the benefit of a class of persons (the Beneficiaries). Trusts are established in a written document, that sets out the terms and conditions upon which the trust assets are held and managed and outlines the rights of beneficiaries under the terms of the Trust.

~~~
# MoCl4
Simulated XRD peak list, Cu Kα, 1.54184 Å. Input: a crystal structure in OQMD, relaxed with PBE.
Peak positions follow from Bragg's law for the DFT cell and can differ from measured ones.

Main lines, sorted by position (5° ≤ 2θ ≤ 70°):
- (0 0 2), d 6.369, rel. 87
- (0 2 1), d 5.353, rel. 100
- (0 2 3), d 3.446, rel. 22
- (2 2 1), d 2.812, rel. 29
- (0 2 4), d 2.802, rel. 18
- (2 2 2), d 2.627, rel. 44
- (2 2 3), d 2.386, rel. 12
- (0 4 4), d 2.164, rel. 28
- (2 4 2), d 2.080, rel. 28
- (2 0 6), d 1.786, rel. 24

```
data_MoCl4
_chemical_formula_sum 'Mo8 Cl32'
_cell_length_a 6.6110
_cell_length_b 11.7975
_cell_length_c 12.7385
_cell_angle_alpha 90.00
_cell_angle_beta 90.00
_cell_angle_gamma 90.00
_space_group_name_H-M_alt 'C m c 21'
_space_group_IT_number 36
loop_
_space_group_symop_operation_xyz
'x,y,z'
'-x,-y,z+1/2'
'-x,y,z'
'x,-y,z+1/2'
'x+1/2,y+1/2,z'
'-x+1/2,-y+1/2,z+1/2'
'-x+1/2,y+1/2,z'
'x+1/2,-y+1/2,z+1/2'
loop_
_atom_site_label
_atom_site_type_symbol
_atom_site_fract_x
_atom_site_fract_y
_atom_site_fract_z
Mo1 Mo 0.2130 0.1238 0.0000
Cl1 Cl 0.0000 0.0085 0.5858
Cl2 Cl 0.0000 0.2560 0.9139
Cl3 Cl 0.0000 0.2629 0.4265
Cl4 Cl 0.0000 0.4895 0.5736
Cl5 Cl 0.2414 0.0134 0.8514
Cl6 Cl 0.2406 0.2343 0.1484
```

----------

No. 1
This entry pairs a crystal structure of Si5Pt12 with its calculated X-ray diffraction stick pattern. Radiation: Cu Kα, 1.54184 Å. Structure: a GGA-PBE-relaxed structure.
Peak positions follow from Bragg's law for the DFT cell and can differ from measured ones.

Top 10 peaks for 15 to 90 degrees two-theta, sorted by position:
d = 3.400 Å, rel. 20.8
d = 3.032 Å, rel. 35.9
d = 2.581 Å, rel. 55.5
d = 2.412 Å, rel. 21.8
d = 2.398 Å, rel. 64.3
d = 2.260 Å, rel. 34.9
d = 2.144 Å, rel. 69.1
d = 2.053 Å, rel. 100.0
d = 1.417 Å, rel. 18.4
d = 1.332 Å, rel. 27.7

Structure:
Lattice parameters (Å, degrees): 7.331 7.331 7.331 98.33 98.33 135.24
Fractional positions:
Si  0.000  0.000  0.000
Si  0.195  0.579  0.774
Si  0.421  0.195  0.616
Si  0.579  0.805  0.384
Si  0.805  0.421  0.226
Pt  0.057  0.367  0.424
Pt  0.076  0.128  0.704
Pt  0.128  0.425  0.053
Pt  0.367  0.943  0.310
Pt  0.372  0.076  0.947
Pt  0.425  0.372  0.296
Pt  0.575  0.628  0.704
Pt  0.628  0.924  0.053
Pt  0.633  0.057  0.690
Pt  0.872  0.575  0.947
Pt  0.924  0.872  0.296
Pt  0.943  0.633  0.576

No. 2
This entry pairs a crystal structure of SiPt with its calculated X-ray diffraction stick pattern. Radiation: Cu Kα, 1.54184 Å. Structure: a GGA-PBE-relaxed structure.
Peak positions follow from Bragg's law for the DFT cell and can differ from measured ones.

Top 10 peaks for 15 to 90 degrees two-theta, sorted by position:
d = 3.832 Å, rel. 76.6
d = 3.119 Å, rel. 40.4
d = 2.916 Å, rel. 27.7
d = 2.882 Å, rel. 93.7
d = 2.492 Å, rel. 37.8
d = 2.263 Å, rel. 100.0
d = 2.040 Å, rel. 33.6
d = 1.963 Å, rel. 69.6
d = 1.758 Å, rel. 37.8
d = 1.649 Å, rel. 39.5

Structure:
Lattice parameters (Å, degrees): 4.176 4.176 6.132 122.35 122.35 46.52
Fractional positions:
~~~

Trusts come in many different types from very simple to complex, but they all have one big advantage: they avoid estate probate by the courts. They are as varied as the people who establish them. However, all trusts have five common elements: (1) each has a grantor who transfers legal title to assets into the trust; (2) each has a beneficiary or beneficiaries who receives the benefits or advantages in the trust arrangement; (3) each has a trustee or trustees who manage the affairs of the trust; and, (4) each has a legal component called “intent” that expresses the grantor’s intentions in establishing the trust and the instructions to the trustee as to the management of the assets.

Another way of looking at trusts is whether they are revocable or irrevocable. Revocable trusts can be changed or terminated at any time by the grantor. Irrevocable trusts can only be changed or terminated in limited circumstances. These two major categories have major tax and legal implications that are beyond the scope of this question to answer. Talk to an Old North State Trust officer who will guide you to a licensed tax or legal professional with significant tax, estate, and trust experiences such as a CPA or an attorney if you desire more information and guidance on this subject.

No. While the perception is that a Trust is only for the ultra-wealthy, a Trust can have beneficial applications for individuals who have more modest financial circumstances. A properly drawn Trust can expedite the transfer of assets to a decedent’s heirs, defer or avoid federal and state death taxes as well as avoid state probate fees. When utilizing a corporate Trustee such as Old North State Trust, a decedent’s spouse, and heirs are relieved of the hardship and burdens of marshaling and safekeeping of assets, accounting for all Trust receipts and disbursements, managing special assets (i.e., income-producing real estate, farmlands, undeveloped real property, Sub-Chapter S Corporations, LLC’s, etc.), preparation of fiduciary income tax returns, bill paying and a myriad of other issues. In addition to being relieved of these time-consuming but important duties, a corporate Trustee will also provide professional, top-notch investment management services.

Your Last Will & Testament is the foundation of your financial endgame. Everyone should have one! Your Will names your executor, tells how to distribute your assets, provides for custody of minor children, and provides a vehicle for special instructions concerning unique assets you may own at death. However, a Will may not be able to take care of all your estate planning desires in the most efficient way. Where an estate is a relatively short-lived legal process, a trust can become a long-term financial tool to ensure the desire to take care of your loved ones is achieved. Among the reasons that people create trusts are:

  1. Professional Asset Management: These days, your investable assets need more expertise, time, and supervision than ever before. An experienced, professional trustee brings specialized training to that task.
  2. Family Financial Protection: A trust provides a means and structure for delivering your financial resources to multiple beneficiaries or entities over a span of time. For example, annual income distributions to your spouse for living needs and principal distributions to your children in the future.
  3. Potential Tax Savings: Some trust plans can lead to substantial tax savings depending on existing tax laws.
  4. Probate Avoidance: Living trusts may avoid court reporting requirements or probate, and thus, provide the family with an element of financial privacy at death.

A living will or declaration of a desire for a natural death is a legal instrument that expresses a person’s desire that extraordinary measures are not to be used to prolong life if his or her medical condition is diagnosed to be terminal and incurable. The living will is intended to avoid the possibility that family disagreements may delay the administration or withholding of extraordinary medical procedures during the end stage of a person’s life. A healthcare power of attorney gives someone you trust the legal authority to act on your behalf regarding healthcare decisions if you become incapacitated or unable to communicate. Both of these documents are necessary in your overall endgame planning, but neither of these documents is intended to take the place of or deal with your financial estate plan. You will need a Last Will and Testament and possibly a living, testamentary, and/or life insurance trust to achieve your estate financial goals and protect your family. A trust can also provide for the individual administration of your assets during your lifetime when you are unable or unwilling to do so yourself.

No, our fees for trust services are very competitive with those of investment advisors, banks, and other trust companies. As trustees, we provide asset management, trust administration, and recordkeeping, along with tax and real estate expertise for an all-inclusive management fee. Our fee is based on the market value of assets in the trust and computed on a declining rate scale. To learn the specifics, please ask for a copy of our fee schedule.

The preparation of the trust legal document must be prepared by your attorney. Our experience has been that the legal costs of document preparation are most always reasonable and certainly worthwhile for our client’s piece of mind knowing their financial matters are in good order. Often the expense incurred in retaining an estate planning attorney to prepare your trust documents will save you and your beneficiaries significant time and costs by having the trust documents prepared properly. If you do not have an attorney, we will be happy to supply you with a list of estate planning attorneys for your consideration.

Certainly, you can if they will accept the appointment. The question is: “For your peace of mind should you”? Corporate trustees such as Old North State Trust, LLC are licensed and regulated by the Banking Commission of the State of North Carolina and have to comply with financial and operating standards set by the Commission. Some reasons to consider a corporate trustee such as Old North State Trust are: (1) we are trust professionals and thus held to a higher standard of performance than a non-professional; (2) we know a lot about trust matters because we are exclusively a trust and investment management firm; we aren’t distracted with making loans or increasing deposits; (3) we have 160 years of North Carolina trust experience on our staff and manage your wealth affairs on a day to day basis—every day; (4) we provide reliable, objective and seasoned professional advice to our clients and potential clients and are not distracted or swayed by emotional or personal concerns; (5) we have full-time investment and financial analysis staff that are skilled in balancing your short and long term financial goals, your risk tolerance and the state of the economy and often achieve better results because of these factors; and (6) we are truly committed to our mission of helping families create and enrich their legacy for generations to come.

Independent trust companies and bank trust departments are regulated by various government institutions. Oversight for state-chartered trust companies and departments such as Old North State Trust is provided by the Office of the Commissioner of Banks. Other regulators include the Office of the Comptroller of the Currency and the FDIC.

Some trust officers hold their positions as a matter of significant, usually 10 years or better, experience in wealth management. Not all trust officers are professionally credentialed or licensed. The most common credentials held by trust officers who hold national certifications or who are licensed are Certified Financial Planner (CFP®-Certified Financial Planner Board), Certified Trust and Financial Advisors (CTFA- Institute of Certified Bankers), and Certified Public Accountants (CPA) and Attorneys at Law. These trust officers normally have at least a bachelor’s degree with required significant experience levels in wealth management, a graduate education in trust—including passing graduate level trust schools held by nationally recognized trust educators; or a state licensed CPA or Attorney at Law.

**Next to the article, the page also holds crystal structures:**
Record 1
Ac3MgCr2N6: theoretical powder diffractogram (Cu Kα (weighted mean of Kα1 and Kα2)), based on a crystal structure in Alexandria, relaxed with GGA-PBE.
Lines closer than 0.1° are merged.

Crystal structure
```
Ac3MgCr2N6
1.0
5.8264 0.0000 0.0000
-2.9132 5.0458 0.0000
0.0000 0.0000 6.8163
Ac Mg Cr N
3 1 2 6
Cartesian
0.0000 0.0000 0.0000 Ac
0.0000 3.3639 4.6062 Ac
2.9132 1.6819 2.2101 Ac
0.0000 0.0000 3.4082 Mg
0.0000 3.3639 1.5405 Cr
2.9132 1.6819 5.2758 Cr
0.0000 1.7138 2.0345 N
-1.4290 4.1889 2.0345 N
1.4842 0.8569 4.7818 N
1.4290 4.1889 2.0345 N
4.3422 0.8569 4.7818 N
2.9132 3.3321 4.7818 N
```

The 12 most intense peaks (5° ≤ 2θ ≤ 70°), by angle:
d (Å)	2θ (°)	I_rel
4.056	21.92	97
2.913	30.69	100
2.824	31.68	87
2.366	38.03	36
2.272	39.67	12
2.028	44.69	43
1.837	49.64	25
1.792	50.97	27
1.682	54.56	20
1.664	55.19	37
1.614	57.04	14
1.457	63.91	15

***

Record 2
Ac2MgCrS6: theoretical powder diffractogram (Cu Kα (weighted mean of Kα1 and Kα2)), based on a crystal structure in Alexandria, relaxed with GGA-PBE.
Lines closer than 0.1° are merged.

Crystal structure
```
Ac2MgCrS6
1.0
6.7683 0.0000 0.0000
0.0000 9.4193 0.0000
0.0000 0.0000 6.8448
Ac Mg Cr S
4 2 2 12
Cartesian
1.6921 0.1330 1.5062 Ac
1.6921 4.5767 1.5062 Ac
5.0762 4.8426 5.3386 Ac
5.0762 9.2863 5.3386 Ac
1.6921 7.0645 5.1952 Mg
5.0762 2.3548 1.6496 Mg
1.6921 2.3548 4.9410 Cr
5.0762 7.0645 1.9038 Cr
0.0069 2.3548 6.6694 S
0.1094 2.3548 3.2968 S
1.6921 0.0843 5.2748 S
1.6921 4.6253 5.2748 S
3.2747 2.3548 3.2968 S
3.3772 2.3548 6.6694 S
3.3911 7.0645 0.1754 S
3.4936 7.0645 3.5480 S
5.0762 4.7940 1.5700 S
5.0762 9.3349 1.5700 S
6.6589 7.0645 3.5480 S
6.7614 7.0645 0.1754 S
```

The 12 most intense peaks (5° ≤ 2θ ≤ 70°), by angle:
d (Å)	2θ (°)	I_rel
4.813	18.44	47
4.710	18.84	22
3.422	26.04	24
3.384	26.34	27
3.366	26.48	100
2.769	32.34	43
2.748	32.58	47
2.406	37.37	49
2.355	38.22	24
2.143	42.17	18
1.950	46.57	23
1.683	54.52	30

***

Record 3
Ac2CrN4: theoretical powder diffractogram (Cu Kα (weighted mean of Kα1 and Kα2)), based on a crystal structure in Alexandria, relaxed with GGA-PBE.
Lines closer than 0.1° are merged.

Crystal structure
```
Ac2CrN4
1.0
7.5530 0.0000 0.0000
0.0000 5.7051 0.0000
0.0000 0.0000 10.3348
Ac Cr N
8 4 16
Cartesian
0.1113 1.4263 1.9573 Ac
1.1730 4.2788 4.3731 Ac
2.6035 1.4263 9.5405 Ac
3.6652 4.2788 7.1247 Ac
3.8879 1.4263 3.2101 Ac
4.9495 4.2788 0.7943 Ac
6.3801 1.4263 5.9618 Ac
7.4417 4.2788 8.3775 Ac
1.7182 4.2788 0.7852 Cr
2.0583 1.4263 5.9527 Cr
5.4948 4.2788 4.3822 Cr
5.8348 1.4263 9.5496 Cr
0.0159 1.4263 9.4271 N
1.3649 5.7044 6.6534 N
1.3649 2.8532 6.6534 N
1.5483 1.4263 4.2675 N
2.2283 4.2788 9.4349 N
2.4116 0.0007 1.4860 N
2.4116 2.8519 1.4860 N
3.7607 4.2788 4.2597 N
3.7924 1.4263 6.0751 N
5.1415 5.7044 8.8488 N
5.1415 2.8532 8.8488 N
5.3248 1.4263 0.8999 N
6.0048 4.2788 6.0673 N
6.1881 0.0007 3.6814 N
6.1881 2.8519 3.6814 N
7.5372 4.2788 0.9077 N
```

The 12 most intense peaks (5° ≤ 2θ ≤ 70°), by angle:
d (Å)	2θ (°)	I_rel
4.166	21.33	35

Old North State Trust strives to permit a wide variety and types of investments for every investor.

**The text is interrupted by materials data:**
-- begin --
This entry pairs a crystal structure of PrNdZn2 with its simulated PXRD pattern. Radiation: λ = 1.5418 Å (Cu Kα). Structure: a cell relaxed with GGA-PBE.

Unit cell a=7.4086 b=7.4086 c=7.4086 alpha=90.00 beta=90.00 gamma=90.00
Fractional positions:
Pr1 0.0000 0.0000 0.0000
Pr2 0.0000 0.5000 0.5000
Pr3 0.5000 0.0000 0.5000
Pr4 0.5000 0.5000 0.0000
Nd1 0.0000 0.0000 0.5000
Nd2 0.0000 0.5000 0.0000
Nd3 0.5000 0.0000 0.0000
Nd4 0.5000 0.5000 0.5000
Zn1 0.2500 0.2500 0.2500
Zn2 0.2500 0.2500 0.7500
Zn3 0.2500 0.7500 0.2500
Zn4 0.2500 0.7500 0.7500
Zn5 0.7500 0.2500 0.2500
Zn6 0.7500 0.2500 0.7500
Zn7 0.7500 0.7500 0.2500
Zn8 0.7500 0.7500 0.7500

The 10 most intense peaks (10 to 90 degrees two-theta), by angle:
2θ/deg  I_rel
24.02  137
34.23  1000
42.26  42
49.19  178
55.47  58
61.30  362
72.12  110
77.27  29
82.31  154
87.30  18

=====

This entry pairs a crystal structure of Cd4Te3Se with its simulated PXRD pattern. Radiation: λ = 1.5418 Å (Cu Kα). Structure: a cell relaxed with GGA-PBE.

Unit cell a=15.2767 b=15.2767 c=15.2767 alpha=17.40 beta=17.40 gamma=17.40
Fractional positions:
Cd1 0.0000 0.0000 0.0000
Cd2 0.2475 0.2475 0.2475
Cd3 0.4954 0.4954 0.4954
Cd4 0.7431 0.7431 0.7431
Te1 0.1841 0.1841 0.1841
Te2 0.4320 0.4320 0.4320
Te3 0.9364 0.9364 0.9364
Se1 0.6833 0.6833 0.6833

The 10 most intense peaks (10 to 90 degrees two-theta), by angle:
2θ/deg  I_rel
23.60  1000
38.97  402
39.07  381
46.08  363
46.18  114
56.36  127
61.87  99
70.62  194
75.64  104
88.50  74

=====

This entry pairs a crystal structure of Na2Zn2O3 with its simulated PXRD pattern. Radiation: λ = 1.5418 Å (Cu Kα). Structure: a cell relaxed with GGA-PBE.

Unit cell a=6.2636 b=6.2636 c=9.5442 alpha=90.00 beta=90.00 gamma=90.00
Fractional positions:
Na1 0.0338 0.2463 0.3553
Na2 0.2463 0.0338 0.6447
Na3 0.2537 0.5338 0.1053
Na4 0.4662 0.7463 0.3947
Na5 0.5338 0.2537 0.8947
Na6 0.7463 0.4662 0.6053
Na7 0.7537 0.9662 0.1447
Na8 0.9662 0.7537 0.8553
Zn1 0.0443 0.2432 0.8852
Zn2 0.2432 0.0443 0.1148
Zn3 0.2568 0.5443 0.6352
Zn4 0.4557 0.7432 0.8648
Zn5 0.5443 0.2568 0.3648
Zn6 0.7432 0.4557 0.1352
Zn7 0.7568 0.9557 0.6148
Zn8 0.9557 0.7568 0.3852
O1 0.0144 0.7417 0.5917
O2 0.1769 0.8231 0.2500
O3 0.2417 0.4856 0.8417
O4 0.2583 0.9856 0.9083
O5 0.3231 0.3231 0.5000
O6 0.4856 0.2417 0.1583
O7 0.5144 0.7583 0.6583
O8 0.6769 0.6769 0.0000
O9 0.7417 0.0144 0.4083
O10 0.7583 0.5144 0.3417
O11 0.8231 0.1769 0.7500
O12 0.9856 0.2583 0.0917

The 10 most intense peaks (10 to 90 degrees two-theta), by angle:
2θ/deg  I_rel
16.93  211
22.13  820
34.25  1000
37.22  175
37.70  314
40.74  522
56.71  332
58.99  123
65.85  139
70.01  114

=====

This entry pairs a crystal structure of Li3CeBi2 with its simulated PXRD pattern. Radiation: λ = 1.5418 Å (Cu Kα). Structure: a cell relaxed with GGA-PBE.

Unit cell a=4.7252 b=4.7252 c=7.5017 alpha=90.00 beta=90.00 gamma=120.00
Fractional positions:
Li1 0.0000 0.0000 0.0000
Li2 0.3333 0.6667 0.8507
Li3 0.6667 0.3333 0.1493
Ce1 0.0000 0.0000 0.5000
-- stop --

Some of the more common include:
Residential Real Estate
Commercial Real Estate
Mortgages Businesses
Limited Partnerships
Private Stock
Public Stock
Mutual Funds

Yes. You can choose to transfer/rollover all, or portions of your existing retirement accounts to an Old North State Trust self-directed IRA for real estate investments. (Most employer-sponsored plans such as a 401(k) do not permit a rollover into another type of account while you are still employed. However, in some cases, plans do permit a rollover portion of the account balance. See the plan administrator for information on what if any rollover is permitted.)

The two most common types of IRAs are Traditional and Roth. (There are other kinds, like SEP and SIMPLE IRAs, but those are geared toward people who are self-employed or running small businesses).

The biggest difference between a Traditional vs. Roth IRA is when your money is taxed. With a Traditional IRA, you get a tax deduction when you contribute money- so the money going into your account is tax-free, and when you withdraw it in retirement, it will be taxed.

With a Roth IRA, you don’t get a tax deduction when you contribute, but your money grows tax-free- meaning that when you withdraw it in retirement, you won’t pay taxes on the withdrawals.